== Listing ==
┌──
Record 1
This entry pairs a crystal structure of Tb3Ga5 with its calculated powder diffractogram. Radiation: CuKα. Structure: a crystal structure in Alexandria, relaxed with GGA-PBE.

Structure:
a b c (Å): 11.500 9.731 6.145
angles (deg): 90.00 90.00 90.00
Space group Pnma (No. 62)
Unique sites:
Tb (0.075, 0.250, 0.153) [4 per cell]
Tb (0.148, 0.510, 0.611) [8 per cell]
Ga (0.005, 0.250, 0.631) [4 per cell]
Ga (0.090, 0.553, 0.127) [8 per cell]
Ga (0.198, 0.750, 0.902) [4 per cell]
Ga (0.248, 0.750, 0.325) [4 per cell]

Principal peaks in the range 2θ from 10° to 90°, in order of falling intensity:
index	Position (°2θ)	I (rel.)
1 2 2	35.4	1000
0 4 0	36.9	867
3 2 1	33.1	819
3 0 2	37.5	818
4 2 0	36.3	716
1 3 2	41.2	671

---

Record 2
This entry pairs a crystal structure of KRbSbCl6 with its calculated powder diffractogram. Radiation: CuKα. Structure: a crystal structure in Alexandria, relaxed with GGA-PBE.

Structure:
a b c (Å): 7.6113 7.6113 6.8164
angles (deg): 90.00 90.00 120.00
Space group P312 (No. 149)
Unique sites:
K (0.0000, 0.0000, 0.0000) [1 per cell]
Rb (0.6667, 0.3333, 0.5000) [1 per cell]
Sb (0.3333, 0.6667, 0.0000) [1 per cell]
Cl (0.0618, 0.3916, 0.2167) [6 per cell]

Principal peaks in the range 2θ from 10° to 90°, in order of falling intensity:
index	Position (°2θ)	I (rel.)
1 0 1	18.7	1000
2 -1 2	35.4	619
1 0 0	13.4	401
3 -1 1	38.5	366
2 -1 1	26.8	348
3 0 0	41.1	252

---

Record 3
This entry pairs a crystal structure of ThH8Rh2 with its calculated powder diffractogram. Radiation: CuKα. Structure: a crystal structure in Alexandria, relaxed with GGA-PBE.

Structure:
a b c (Å): 4.490 4.490 9.796
angles (deg): 90.00 90.00 90.00
Space group I4/mmm (No. 139)
Unique sites:
Th (0.000, 0.000, 0.000) [2 per cell]
H (0.221, 0.221, 0.342) [16 per cell]
Rh (0.000, 0.500, 0.250) [4 per cell]

Principal peaks in the range 2θ from 10° to 90°, in order of falling intensity:
index	Position (°2θ)	I (rel.)
1 1 2	33.6	1000
1 0 1	21.8	761
2 0 0	40.2	295
1 0 3	33.9	262
3 1 2	68.9	252
2 0 4	55.5	245

----------

Starting from a DFT-relaxed cell (GGA+U, Alexandria), the X-ray diffraction stick pattern of VCl5F was calculated for a wavelength of 1.5418 Å.
Intensities are scaled so that the largest is 100.

Top 10 peaks for 10° ≤ 2θ ≤ 90°, low angle first:
| h k l | 2θ/deg | I/Imax |
| --- | --- | --- |
| 1 1 0 | 14.83 | 40 |
| 0 1 1 | 16.36 | 21 |
| 1 0 1 | 17.07 | 100 |
| 0 2 0 | 19.85 | 22 |
| 2 0 0 | 22.15 | 17 |
| 0 0 2 | 26.17 | 15 |
| 2 1 1 | 27.66 | 29 |
| 2 0 2 | 34.54 | 20 |
| 0 4 0 | 40.34 | 16 |
| 1 4 1 | 44.10 | 14 |

Cell and atoms:
Cell lengths 8.027, 8.944, 6.810 Å; angles 90.00, 90.00, 90.00 degrees
Space group Imm2 (No. 44)
Inequivalent atoms, fractional coordinates:
V1 0.000 0.000 0.000 [2 per cell]
Cl1 0.000 0.000 0.682 [2 per cell]
Cl2 0.000 0.255 0.003 [4 per cell]
Cl3 0.232 0.000 0.160 [4 per cell]
F1 0.000 0.500 0.999 [2 per cell]

Starting from a DFT-relaxed cell (GGA+U, Alexandria), the X-ray diffraction stick pattern of NiP2O10 was calculated for a wavelength of 1.5418 Å.
Intensities are scaled so that the largest is 100.

Top 10 peaks for 10° ≤ 2θ ≤ 90°, low angle first:
| h k l | 2θ/deg | I/Imax |
| --- | --- | --- |
| 0 1 1 | 15.40 | 89 |
| 1 1 -1 | 19.58 | 51 |
| 1 0 -2 | 21.72 | 100 |
| 0 2 1 | 22.42 | 27 |
| 1 1 0 | 22.59 | 48 |
| 0 1 2 | 26.34 | 39 |
| 1 2 0 | 27.93 | 83 |
| 0 3 1 | 30.84 | 76 |
| 0 2 2 | 31.08 | 34 |
| 1 1 -3 | 32.43 | 32 |

Cell and atoms:
Cell lengths 5.171, 9.474, 8.659 Å; angles 90.00, 123.22, 90.00 degrees
Space group P2_1/c (No. 14)
Inequivalent atoms, fractional coordinates:
Ni1 0.000 0.000 0.000 [2 per cell]
P1 0.374 0.197 0.674 [4 per cell]
O1 0.097 0.152 0.687 [4 per cell]
O2 0.114 0.541 0.321 [4 per cell]
O3 0.308 0.656 0.661 [4 per cell]
O4 0.332 0.123 0.502 [4 per cell]
O5 0.348 0.143 0.135 [4 per cell]

----------

GdHoZnSn: theoretical X-ray powder pattern (Cu Kα (λ = 1.5418 Å)), based on a crystal structure in Alexandria, relaxed with PBE.
└──

== Wanted ==
Could you work out how many lines above have the word "scaled" in them; a number is enough?

== Done ==
2